I remember last year there was hours of discussion about how the prize drawing was actually gonna work, then when we actually got going people still weren't happy with the results (thus the several people joking about how Prime's kids got inordinate amounts of prizes, which wasn't prime's fault, but which could have been avoided with a better drawing method).
I know it's not about the prizes, and it seems petty to worry about it, and all that yada yada, but the prizes are sweet, and there are few enough attendees that everyone proly goes in expecting to atleast be lucky enough to get something cool, and everyone will have a lot more fun with the prize drawings if they feel that it's being done fairly.
I suggest that a concrete plan for how the drawing will run be made before the LAN begins.
If a plan has already been made, then please ignore the rest of this post, wherein, I make simple recommendations.
I recommend using a similar system to last year, with a couple of exceptions.
Last year we drew names for the big prizes first, then drew names to let people pick whatever they wanted from the collection of not-so big prizes.
Here's what I would change: If the best/biggest prizes are being drawn for first, we don't need to put those winners names back in the bucket for the smaller prizes, putting names back in the bucket is only a good idea if the prizes are being given out from smallest to largest, to make sure that getting a small prize doesn't take you out of the running for a sweet prize. IMO, it doesn't matter if getting a big prize takes you out of the running for small prizes.
Also, the only people whose names should be in the bucket are people who paid the registration fee for the event. Seems obvious, but it hasn't been the case in past years.
Just to be clear, I'm not grousing or complaining here, I'm happy with the stuff I've won in the past, and I recognize that the event is not about the prizes, but IMHO this part of the LAN would be more enjoyable for everyone if there was a concrete, immutable plan in place before the event begins. It would certainly be less of a pita for Prime.
Infact, now that I think about it all of the complaints about last years LAN (no matter how great an event is, there will always be some complaints) basically boiled down to:
"This part of the event was not thoroughly planned out"
The events that received the most positive feedback (other than just hanging out, which was also fun) were the ones with the most planning: The food tour is a good example. A lot of planning was put into that event, and a lot of people are looking forward to it this year. (Mmmm.... food tour....)
I'm glad that Q is doing some planning for the people who really want to play video games this year... I think they will have a lot more fun.
Okay, now I'm just rambling... sorry, I'll return you to your regularly scheduled Swag Thread...
I have to say that CB's post has a lot of merit, and quite honestly I've heard a lot more good ideas from him than just that - howsabout you guys let him into the supar sekrit planning clubhouse?
Q's planning is really going to come in handy this year. The (lack of) gaming last year was the one item that got the most grousing, and I think his advance work is going to do a lot of good for it.
Here's what I would change: If the best/biggest prizes are being drawn for first, we don't need to put those winners names back in the bucket for the smaller prizes, putting names back in the bucket is only a good idea if the prizes are being given out from smallest to largest, to make sure that getting a small prize doesn't take you out of the running for a sweet prize. IMO, it doesn't matter if getting a big prize takes you out of the running for small prizes.
Actually this is exactly what we did. EVERYBODY was in the pool for the big prizes, and then when those were taken out, the pool got smaller for the "smaller" prizes. Nobody won two prizes, unless you count ocz thermal paste or other small things.
Also, the only people whose names should be in the bucket are people who paid the registration fee for the event. Seems obvious, but it hasn't been the case in past years.
Yes it has. The only people who haven't paid "registration fees" are my two kids, so I assume this is a subtle jab at their winning the prizes. I expressed my doubts several times about allowing my kids in the drawing but everyone involved in the planning (including the other two site owners) agreed that myself and my two kids should be allowed in the drawing, especially considering how many thousands of dollars I personally spend out of pocket to throw these parties for the last three years.
This seems like sour grapes (still!!) - if my kids hadn't won the big prizes, nobody would have cared if their names were in the drawing.
Just to be clear, I'm not grousing or complaining here, I'm happy with the stuff I've won in the past, and I recognize that the event is not about the prizes, but IMHO this part of the LAN would be more enjoyable for everyone if there was a concrete, immutable plan in place before the event begins. It would certainly be less of a pita for Prime.
There always was a concrete, immutable plan for the prize drawings: Throw your badge in the bucket and we draw them out for each prize. It's simple. There's never been any complaints about a "lack of planning" for the prize drawing.
I distinctly remember that there where people who won big prizes, then also won little prizes because there names were put back in.
**Between two parts of the page: records of molecules:**
********
ORCA calculation (wB97M-V/def2-TZVPD) on C34H38Cl2N3OPdS2Te as an isolated structure.

```
! wB97M-V def2-TZVPD RIJCOSX def2/J DEFGRID3
* xyz 0 4
Pd 0.58231 -0.96102 0.26219
Cl 3.01621 -1.96342 -0.28391
C 3.58491 -1.79372 1.33559
C 4.88111 -1.37382 1.56569
C 5.36401 -1.31502 2.86289
C 4.56201 -1.71792 3.91999
C 3.25441 -2.09882 3.68159
Cl 2.25761 -2.59202 4.99679
C 2.70901 -2.10202 2.38749
S 1.04211 -2.47902 2.11289
H 5.50631 -1.10272 0.73009
H 6.37031 -0.97012 3.04479
H 4.94891 -1.73602 4.92789
C -1.65199 4.47228 6.79809
C -1.19949 3.79828 5.53839
C -0.78019 2.47788 5.54499
C -0.31789 1.85648 4.39009
C 0.20821 0.45198 4.47929
C -0.32009 2.58428 3.20449
Te 0.57201 1.56928 1.32249
N 1.38041 0.80688 -0.52801
C 1.31751 1.54698 -1.60471
O 0.99821 2.74168 -1.59131
C 1.81751 0.88188 -2.85721
C 2.36691 1.66948 -3.86131
C 2.91601 1.07468 -4.98301
C 2.91011 -0.30512 -5.11291
C 2.33741 -1.09222 -4.12681
C 1.79641 -0.50062 -3.00051
C -1.41959 1.59758 0.53479
C -1.73039 2.59918 -0.37401
C -2.99159 2.67938 -0.93471
C -3.95959 1.75188 -0.59451
C -3.65039 0.75058 0.30469
C -2.38969 0.65968 0.88829
C -2.14729 -0.42872 1.88559
C -0.71419 3.91438 3.16789
C -0.67249 4.73898 1.91729
C -1.15609 4.50488 4.34759
H -1.69799 3.76088 7.61859
H -2.63559 4.91878 6.66029
H -0.95589 5.26878 7.06059
H -0.79169 1.92188 6.47329
H 0.11701 0.07238 5.49599
H 1.26371 0.43458 4.19759
H -0.32049 -0.23542 3.81969
H 2.34731 2.74328 -3.73971
H 3.35821 1.69228 -5.75231
H 3.34651 -0.76592 -5.98711
H 2.32431 -2.16892 -4.22741
H 1.34031 -1.12502 -2.23071
H -0.96319 3.29058 -0.68581
H -3.20869 3.46448 -1.64261
H -4.94869 1.80488 -1.02701
H -4.38999 0.00668 0.56729
H -2.79219 -1.28172 1.68259
H -2.36909 -0.06552 2.88909
H -1.09859 -0.77292 1.84759
H 0.02311 4.31068 1.19139
H -0.35769 5.75508 2.14959
H -1.66059 4.78798 1.45729
H -1.45339 5.54438 4.32749
C -0.45199 -5.83212 -3.37211
C -1.46069 -4.79152 -2.90991
N -0.78629 -3.61502 -2.38041
C -1.19969 -2.33882 -2.57151
S -1.38279 -1.29352 -1.26771
N -1.54829 -1.86812 -3.78011
C -1.13909 -2.32032 -5.09561
C -2.26969 -2.08112 -6.08901
H -0.97599 -6.73462 -3.67131
H 0.23011 -6.07732 -2.56151
H 0.12751 -5.46392 -4.21471
H -2.09189 -5.22282 -2.12261
H -2.11629 -4.48722 -3.72571
H -0.42219 -3.76002 -1.44391
H -1.82579 -0.89442 -3.74761
H -0.86809 -3.37432 -5.05881
H -0.25159 -1.75532 -5.41451
H -3.15129 -2.66562 -5.83411
H -1.94869 -2.35332 -7.08951
H -2.54339 -1.02852 -6.09421
*
```

Values from the calculation:
HOMO-LUMO gap (spin up / spin down) = 7.5 / 5.7 eV

~~~~~

Below is a cluster of 10 separate species, C26H59Br4N3O5S5 in total, with properties calculated with ωB97M-V with the def2-TZVPD basis set.

The geometry in XYZ format:
```
102
Properties=species:S:1:pos:R:3:forces:R:3
C -6.607 -2.588 2.036 -0.1 0.9 -0.3
C -6.337 -2.858 3.481 0.4 -0.8 1.4
C -5.113 -2.195 4.213 0.0 -1.2 -0.9
C -5.063 -0.761 4.048 -0.4 0.6 0.1
N -5.085 0.383 3.948 0.1 0.0 -0.1
H -6.447 -1.530 1.830 -0.4 0.1 -0.4
H -7.645 -2.887 1.891 0.0 0.3 -0.4
********
Also, I wasn't making a jab or experiencing sour grapes. I personally didn't have a problem with it... What I'm thinking of right now, is a mental image I have of you holding your son's nametag in your hand, and hesitating a momment before reading the winner... It looked to me like you were consitering redrawing... It looked like you had decided it was a mistake to put their names in, but I wasen't in your head, so I don't know what was going on there... :/
For some reason, I thought there were a couple of other 'guests' in the pot, but I was proly misinterpreting something... maybe they were just standing around when we were drawing, but didn't have names in the pot...
What I'm thinking of right now, is a mental image I have of you holding your son's nametag in your hand, and hesitating a momment before reading the winner... It looked to me like you were consitering redrawing... It looked like you had decided it was a mistake to put their names in, but I wasen't in your head, so I don't know what was going on there... :/
I'll tell you exactly what was going on in my head: "This is gonna cause nothing but trouble..." and I was somewhat right. A year later and we're still hearing all the jokes about my kids winning.
There will be two prize drawings. One associated with the gaming aspect, and the other associated with the entire event. The prizes are split up to favor the entire event but still offer some sweet prizes for the gamers.
As for the gamers... there will be raffle tickets, no name badges. There will be a one big prize and one small prize limit for each gamer. Extra tickets drawn for a person will be ignored. The tickets will be given out for more than just winning... if you play, you get a ticket. If you setup your own mini tournament (and notify me ahead of time), you get tickets... I am not looking for the best gamer to have so many tickets that s/he claims all the prizes. I'm looking for people to play as much as possible. Besides, I hope to have most of the tournaments team based with a good mix of players to avoid having a Thrax/ Sharky team that wipes out everyone in a few minutes.
Wowzers... CB is not totally wrong and neither is Prime. You see, what actually happened was that Prime put all of the names in the plastic-case-box-thing and then proceeded to pull names. He then pulled names until all of the names were picked, then he put everyones name back in....
omfg yes.
Primes kids will win it, lol! Rigged!
EDIT: On a more serious note, though; if Prime or any of his family members win the Grand Prize I will be so angry.
DIET EDIT: Though Prime may deserve it. *wink
DIET ZERO EDIT: And I think we should give away the C&C games before the LAN starts so that we can have people actually playing it.
I know it's not about the prizes, and it seems petty to worry about it, and all that yada yada, but the prizes are sweet, and there are few enough attendees that everyone proly goes in expecting to atleast be lucky enough to get something cool, and everyone will have a lot more fun with the prize drawings if they feel that it's being done fairly.
I suggest that a concrete plan for how the drawing will run be made before the LAN begins.
If a plan has already been made, then please ignore the rest of this post, wherein, I make simple recommendations.
I recommend using a similar system to last year, with a couple of exceptions.
Last year we drew names for the big prizes first, then drew names to let people pick whatever they wanted from the collection of not-so big prizes.
Here's what I would change: If the best/biggest prizes are being drawn for first, we don't need to put those winners names back in the bucket for the smaller prizes, putting names back in the bucket is only a good idea if the prizes are being given out from smallest to largest, to make sure that getting a small prize doesn't take you out of the running for a sweet prize. IMO, it doesn't matter if getting a big prize takes you out of the running for small prizes.
Also, the only people whose names should be in the bucket are people who paid the registration fee for the event. Seems obvious, but it hasn't been the case in past years.
Just to be clear, I'm not grousing or complaining here, I'm happy with the stuff I've won in the past, and I recognize that the event is not about the prizes, but IMHO this part of the LAN would be more enjoyable for everyone if there was a concrete, immutable plan in place before the event begins. It would certainly be less of a pita for Prime.
Infact, now that I think about it all of the complaints about last years LAN (no matter how great an event is, there will always be some complaints) basically boiled down to:
"This part of the event was not thoroughly planned out"
The events that received the most positive feedback (other than just hanging out, which was also fun) were the ones with the most planning: The food tour is a good example. A lot of planning was put into that event, and a lot of people are looking forward to it this year. (Mmmm.... food tour....)
I'm glad that Q is doing some planning for the people who really want to play video games this year... I think they will have a lot more fun.
Okay, now I'm just rambling...
Q's planning is really going to come in handy this year. The (lack of) gaming last year was the one item that got the most grousing, and I think his advance work is going to do a lot of good for it.
Actually this is exactly what we did. EVERYBODY was in the pool for the big prizes, and then when those were taken out, the pool got smaller for the "smaller" prizes. Nobody won two prizes, unless you count ocz thermal paste or other small things.
Yes it has. The only people who haven't paid "registration fees" are my two kids, so I assume this is a subtle jab at their winning the prizes. I expressed my doubts several times about allowing my kids in the drawing but everyone involved in the planning (including the other two site owners) agreed that myself and my two kids should be allowed in the drawing, especially considering how many thousands of dollars I personally spend out of pocket to throw these parties for the last three years.
This seems like sour grapes (still!!) - if my kids hadn't won the big prizes, nobody would have cared if their names were in the drawing.
There always was a concrete, immutable plan for the prize drawings: Throw your badge in the bucket and we draw them out for each prize. It's simple. There's never been any complaints about a "lack of planning" for the prize drawing.
I distinctly remember that there where people who won big prizes, then also won little prizes because there names were put back in.
Also, I wasn't making a jab or experiencing sour grapes. I personally didn't have a problem with it... What I'm thinking of right now, is a mental image I have of you holding your son's nametag in your hand, and hesitating a momment before reading the winner... It looked to me like you were consitering redrawing... It looked like you had decided it was a mistake to put their names in, but I wasen't in your head, so I don't know what was going on there... :/
For some reason, I thought there were a couple of other 'guests' in the pot, but I was proly misinterpreting something... maybe they were just standing around when we were drawing, but didn't have names in the pot...
I didn't mean to offend if I did.
I'll tell you exactly what was going on in my head: "This is gonna cause nothing but trouble..." and I was somewhat right. A year later and we're still hearing all the jokes about my kids winning.
As for the gamers... there will be raffle tickets, no name badges. There will be a one big prize and one small prize limit for each gamer. Extra tickets drawn for a person will be ignored. The tickets will be given out for more than just winning... if you play, you get a ticket. If you setup your own mini tournament (and notify me ahead of time), you get tickets... I am not looking for the best gamer to have so many tickets that s/he claims all the prizes. I'm looking for people to play as much as possible. Besides, I hope to have most of the tournaments team based with a good mix of players to avoid having a Thrax/ Sharky team that wipes out everyone in a few minutes.
...oh wait....
• Quantum chemistry results, kept here for reference:
+++
[1]
C4H14ClFeP2 | ωB97M-V with the def2-TZVPD basis set

```
22
C4H14ClFeP2, DFT ωB97M-V with the def2-TZVPD basis set
C 0.863 -2.449 0.040
C 0.473 -1.144 0.805
P 0.037 0.211 -0.417
C -1.433 1.029 0.336
C -2.758 0.564 -0.312
P 1.879 1.594 -0.355
Cl 2.603 0.600 -2.126
H 1.830 -2.833 0.324
H 0.130 -3.233 0.300
H 0.823 -2.268 -1.036
H 1.262 -0.815 1.470
H -0.405 -1.290 1.443
H -1.352 2.107 0.312
H -1.465 0.748 1.383
H -3.128 1.317 -0.994
H -3.510 0.422 0.452
H -2.672 -0.377 -0.898
H 2.681 0.594 0.396
H 3.055 2.433 -0.275
H 1.211 2.631 -1.131
H 1.337 2.099 0.896
Fe -1.461 -1.940 -0.612
```

## Properties
Largest force on an atom: 0.0396 Eh/bohr
E_LUMO (alpha / beta): -9.66 / -11.62 eV
Multiplicity: 6
Kohn-Sham gap (alpha / beta): 7.49 / 5.64 eV
E: -2566.47569 a.u.
Charge: +2

***

[2]
C4H14I2N3O5P2S | ωB97M-V with the def2-TZVPD basis set

```
31
C4H14I2N3O5P2S, DFT ωB97M-V with the def2-TZVPD basis set
N -0.201 3.739 2.158
C -0.504 2.338 2.281
N -0.184 1.557 3.412
P -1.612 1.000 4.327
O -2.465 2.343 4.895
I -0.707 -0.086 6.357
N -1.082 1.792 1.213
P -1.550 0.066 0.945
O -3.040 -0.209 1.736
I 0.017 -1.486 2.056
H -0.510 4.257 2.984
H 0.800 3.898 2.025
H 0.376 2.118 4.074
H -3.403 2.085 4.850
H -1.232 2.445 0.435
H -3.173 -1.168 1.834
O -0.412 -2.424 -1.961
S 0.965 -2.014 -1.970
O 1.378 -0.752 -1.413
O 1.538 -2.136 -3.468
C 0.864 -1.426 -4.517
C 1.129 0.067 -4.459
C 1.952 -3.289 -1.245
H -0.208 -1.639 -4.491
H 1.248 -1.822 -5.458
H 0.703 0.510 -3.559
H 0.687 0.570 -5.321
H 2.202 0.267 -4.442
H 1.672 -4.246 -1.680
H 1.751 -3.289 -0.175
H 3.002 -3.067 -1.425
```

## Properties
Largest force on an atom: 0.0604 Eh/bohr
E_LUMO: -4.62 eV
Kohn-Sham gap: 7.72 eV
E: -2377.37341 a.u.
Charge: +1

***

[3]
C4H14IO5 | ωB97M-V with the def2-TZVPD basis set

```
24
C4H14IO5, DFT ωB97M-V with the def2-TZVPD basis set
I -24.105 -23.162 -13.834
O -18.145 -25.068 -14.913
H -17.725 -24.381 -14.395
H -19.054 -24.783 -14.997
C -15.072 -21.222 -11.151
C -16.570 -20.911 -10.779
O -17.258 -20.298 -11.897
O -15.117 -22.127 -12.236
H -14.597 -21.557 -10.229
H -14.519 -20.311 -11.379
H -16.517 -20.248 -9.916
H -17.185 -21.784 -10.561
H -18.098 -20.742 -12.032
H -14.236 -22.224 -12.604
C -21.932 -21.201 -21.464
C -21.552 -21.508 -22.929
O -20.846 -22.775 -23.022
O -22.750 -22.241 -20.914
H -22.436 -20.237 -21.391
H -21.067 -21.185 -20.801
H -20.934 -20.643 -23.170
H -22.445 -21.445 -23.551
H -21.363 -23.366 -22.469
H -22.823 -22.158 -19.960
```

## Properties
Largest force on an atom: 0.0399 Eh/bohr
E_LUMO: 2.25 eV
Kohn-Sham gap: 5.66 eV
E: -834.72770 a.u.
Charge: -1

***

[4]
C4H14N | ωB97M-V with the def2-TZVPD basis set

```
19
C4H14N, DFT ωB97M-V with the def2-TZVPD basis set
C -0.498 -0.869 -0.643
C 0.604 -0.176 -1.418
C 1.447 -1.129 -2.242
N -1.311 0.187 0.102
H -1.238 -1.422 -1.218
H -0.119 -1.532 0.133
H 1.231 0.370 -0.712
H 0.151 0.553 -2.094
H 1.910 -1.949 -1.696
H 0.871 -1.610 -3.037
H 2.246 -0.583 -2.741
H -0.720 0.830 0.640
H -1.869 0.751 -0.537
+++
• Here the text continues:
thats gonna be me anyways;D
gimme an award or something!...haha
Drinking is it's own reward
The XBOX 360 just arrived via USPS!!!!
good thing I wasn't hungover or anything signing Prime's name
OH THE DRAMA!...(singing the happy happy joy joy song!)